Assignment:
The reader should set down the lines further below up to the one that holds "0.3099 (multiplicity", that line included.
Entries:
/*
# Rb2MoS3O

A relaxed structure of Rb2MoS3O (GGA+U, the Materials Project database).

Unit cell a=9.6100 b=7.3204 c=11.9131 alpha=90.00 beta=90.00 gamma=90.00
Space group Pnma (No. 62)
Inequivalent atoms, fractional coordinates:
Rb  0.0458  0.2500  0.1916 (multiplicity 4)
Rb  0.1642  0.7500  0.3759 (multiplicity 4)
Mo  0.2414  0.7500  0.0488 (multiplicity 4)
S  0.0182  0.7500  0.0981 (multiplicity 4)
S  0.1564  0.0043  0.6217 (multiplicity 8)
O  0.2425  0.2500  0.4011 (multiplicity 4)

Calculated values
**E_form**: -1.2737 eV per atom


# Li3Mn2P2C2O14

A relaxed structure of Li3Mn2P2C2O14 (GGA+U, the Materials Project database).

Unit cell a=8.1987 b=8.2577 c=8.3456 alpha=92.57 beta=92.48 gamma=103.95
Space group P1 (No. 1)
Inequivalent atoms, fractional coordinates:
Li  0.0000  0.0000  0.0000 (multiplicity 1)
Li  0.0056  0.4957  0.5056 (multiplicity 1)
Li  0.2768  0.7126  0.9889 (multiplicity 1)
Li  0.2901  0.2300  0.5209 (multiplicity 1)
Li  0.7680  0.2441  0.0079 (multiplicity 1)
Li  0.7749  0.7467  0.5035 (multiplicity 1)
Mn  0.3686  0.6023  0.5944 (multiplicity 1)
Mn  0.4108  0.1466  0.9173 (multiplicity 1)
Mn  0.8592  0.1001  0.5841 (multiplicity 1)
Mn  0.9024  0.6412  0.9248 (multiplicity 1)
P  0.1267  0.3545  0.8336 (multiplicity 1)
P  0.1484  0.8815  0.6781 (multiplicity 1)
P  0.6260  0.8670  0.8335 (multiplicity 1)
P  0.6513  0.3866  0.6760 (multiplicity 1)
C  0.3642  0.1063  0.2001 (multiplicity 1)
C  0.4052  0.6417  0.3099 (multiplicity 1)
C  0.8752  0.5993  0.2082 (multiplicity 1)
C  0.9063  0.1358  0.3012 (multiplicity 1)
O  0.0075  0.9233  0.5744 (multiplicity 1)
O  0.0883  0.4996  0.9320 (multiplicity 1)
O  0.0892  0.8234  0.8456 (multiplicity 1)
O  0.1852  0.4125  0.6643 (multiplicity 1)
O  0.1991  0.7375  0.5816 (multiplicity 1)
O  0.2645  0.2973  0.9313 (multiplicity 1)
O  0.2743  0.0104  0.0776 (multiplicity 1)
O  0.2833  0.5275  0.3678 (multiplicity 1)
O  0.2968  0.0414  0.7110 (multiplicity 1)
O  0.3292  0.0905  0.3416 (multiplicity 1)
O  0.4182  0.6742  0.1682 (multiplicity 1)
O  0.4661  0.7186  0.8003 (multiplicity 1)
O  0.4885  0.2182  0.1461 (multiplicity 1)
O  0.5007  0.4302  0.5827 (multiplicity 1)
O  0.5119  0.7207  0.4288 (multiplicity 1)
O  0.5771  0.0119  0.9307 (multiplicity 1)
O  0.5986  0.3167  0.8406 (multiplicity 1)
O  0.6912  0.9185  0.6674 (multiplicity 1)
O  0.7099  0.2632  0.5663 (multiplicity 1)
O  0.7632  0.8223  0.9396 (multiplicity 1)
O  0.7886  0.4941  0.0952 (multiplicity 1)
O  0.7917  0.0153  0.3534 (multiplicity 1)
O  0.7983  0.5475  0.7111 (multiplicity 1)
O  0.8569  0.5841  0.3558 (multiplicity 1)
O  0.9300  0.1609  0.1559 (multiplicity 1)
O  0.9671  0.2058  0.8015 (multiplicity 1)
O  0.9828  0.7242  0.1492 (multiplicity 1)
O  0.9976  0.2333  0.4204 (multiplicity 1)

Calculated values
**E_form**: -2.2613 eV per atom


# MgFe3Ni2SbP6O24

A relaxed structure of MgFe3Ni2SbP6O24 (GGA+U, the Materials Project database).

Unit cell a=8.7639 b=8.7639 c=21.1959 alpha=90.00 beta=90.00 gamma=120.00
Space group R3 (No. 146, hexagonal axes)
Inequivalent atoms, fractional coordinates:
Mg  0.0000  0.0000  0.0000 (multiplicity 3)
Fe  0.0000  0.0000  0.1215 (multiplicity 3)
Fe  0.0000  0.0000  0.2390 (multiplicity 3)
Fe  0.0000  0.0000  0.5190 (multiplicity 3)
Ni  0.0000  0.0000  0.3758 (multiplicity 3)
Ni  0.0000  0.0000  0.8697 (multiplicity 3)
Sb  0.0000  0.0000  0.7218 (multiplicity 3)
P  0.0006  0.6985  0.6189 (multiplicity 9)
P  0.0053  0.3047  0.1210 (multiplicity 9)
O  0.0030  0.1949  0.0636 (multiplicity 9)
O  0.0056  0.1966  0.1794 (multiplicity 9)
O  0.0082  0.8303  0.2980 (multiplicity 9)
O  0.0130  0.1810  0.7955 (multiplicity 9)
O  0.0218  0.7933  0.6832 (multiplicity 9)
O  0.1586  0.6957  0.2319 (multiplicity 9)
O  0.1637  0.6808  0.6047 (multiplicity 9)
O  0.1665  0.4920  0.1152 (multiplicity 9)

Calculated values
**E_form**: -2.2553 eV per atom


# RbV2CrO7

A relaxed structure of RbV2CrO7 (GGA+U, the Materials Project database).
*/
Solution:
# Rb2MoS3O

A relaxed structure of Rb2MoS3O (GGA+U, the Materials Project database).

Unit cell a=9.6100 b=7.3204 c=11.9131 alpha=90.00 beta=90.00 gamma=90.00
Space group Pnma (No. 62)
Inequivalent atoms, fractional coordinates:
Rb  0.0458  0.2500  0.1916 (multiplicity 4)
Rb  0.1642  0.7500  0.3759 (multiplicity 4)
Mo  0.2414  0.7500  0.0488 (multiplicity 4)
S  0.0182  0.7500  0.0981 (multiplicity 4)
S  0.1564  0.0043  0.6217 (multiplicity 8)
O  0.2425  0.2500  0.4011 (multiplicity 4)

Calculated values
**E_form**: -1.2737 eV per atom


# Li3Mn2P2C2O14

A relaxed structure of Li3Mn2P2C2O14 (GGA+U, the Materials Project database).

Unit cell a=8.1987 b=8.2577 c=8.3456 alpha=92.57 beta=92.48 gamma=103.95
Space group P1 (No. 1)
Inequivalent atoms, fractional coordinates:
Li  0.0000  0.0000  0.0000 (multiplicity 1)
Li  0.0056  0.4957  0.5056 (multiplicity 1)
Li  0.2768  0.7126  0.9889 (multiplicity 1)
Li  0.2901  0.2300  0.5209 (multiplicity 1)
Li  0.7680  0.2441  0.0079 (multiplicity 1)
Li  0.7749  0.7467  0.5035 (multiplicity 1)
Mn  0.3686  0.6023  0.5944 (multiplicity 1)
Mn  0.4108  0.1466  0.9173 (multiplicity 1)
Mn  0.8592  0.1001  0.5841 (multiplicity 1)
Mn  0.9024  0.6412  0.9248 (multiplicity 1)
P  0.1267  0.3545  0.8336 (multiplicity 1)
P  0.1484  0.8815  0.6781 (multiplicity 1)
P  0.6260  0.8670  0.8335 (multiplicity 1)
P  0.6513  0.3866  0.6760 (multiplicity 1)
C  0.3642  0.1063  0.2001 (multiplicity 1)
C  0.4052  0.6417  0.3099 (multiplicity 1)